
sexual side effects

  1. B

    Help with topical finasteride side effects. with blood measurements

## Inserted here: records of crystals
********
(1)
Entry from the Alexandria database: Li2TaAlV after structural relaxation (PBE-GGA).

## Properties
ΔH_f (0 K) = 1.82 eV per atom
electronic total energy = -3.889 eV/atom
total moment = 0.528 μB per atom
calculated density = 4.4 g cm⁻³
crystal system = tetragonal

Cell: 4.5614 4.5614 4.9915 Å, 90.00 90.00 90.00°
Last column: nearest neighbours and their distance in Å.
Space group P4/mmm (No. 123)
Inequivalent atoms, fractional coordinates:
Li1 0.0000 0.5000 0.0000 x2  2 Ta 2.28
Ta1 0.0000 0.0000 0.0000 x1  4 Li 2.28, 2 Al 2.50
Al1 0.0000 0.0000 0.5000 x1  2 Ta 2.50
V1 0.5000 0.5000 0.5000 x1  4 Al 3.23, 8 Li 3.38

=====

(2)
Entry from the Alexandria database: LiTa2AlW after structural relaxation (PBE-GGA).

## Properties
ΔH_f (0 K) = 1.57 eV per atom
electronic total energy = -6.895 eV/atom
total moment = 0.000 μB per atom
calculated density = 9.3 g cm⁻³
crystal system = tetragonal

Cell: 4.7581 4.7581 4.5829 Å, 90.00 90.00 90.00°
Last column: nearest neighbours and their distance in Å.
Space group P4/mmm (No. 123)
Inequivalent atoms, fractional coordinates:
Li1 0.0000 0.0000 0.0000 x1  8 Ta 3.30, 4 W 3.36
Ta1 0.0000 0.5000 0.5000 x2  2 Al 2.38
Al1 0.5000 0.5000 0.5000 x1  2 W 2.29, 4 Ta 2.38
W1 0.5000 0.5000 0.0000 x1  2 Al 2.29

=====

(3)
Entry from the Alexandria database: LiYTaAl2 after structural relaxation (PBE-GGA).

## Properties
ΔH_f (0 K) = 1.45 eV per atom
electronic total energy = -4.097 eV/atom
total moment = 0.000 μB per atom
calculated density = 3.6 g cm⁻³
crystal system = tetragonal

Cell: 5.4776 5.4776 5.0215 Å, 90.00 90.00 90.00°
Last column: nearest neighbours and their distance in Å.
Space group P4/mmm (No. 123)
Inequivalent atoms, fractional coordinates:
Li1 0.0000 0.0000 0.0000 x1  8 Al 3.72, 4 Ta 3.87
Y1 0.5000 0.5000 0.5000 x1  2 Ta 2.51, 4 Al 2.74
Ta1 0.5000 0.5000 0.0000 x1  2 Y 2.51
Al1 0.0000 0.5000 0.5000 x2  2 Y 2.74

=====

(4)
Entry from the Alexandria database: LiTbAl6 after structural relaxation (PBE-GGA).

## Properties
ΔH_f (0 K) = -0.20 eV per atom
electronic total energy = -3.826 eV/atom
total moment = 0.000 μB per atom
calculated density = 3.7 g cm⁻³
crystal system = orthorhombic

Cell: 4.5939 6.1083 10.5694 Å, 90.00 90.00 90.00°
Last column: nearest neighbours and their distance in Å.
Space group Amm2 (No. 38)
Inequivalent atoms, fractional coordinates:
Li1 0.0000 0.0000 0.0000 x2  12 Al 2.89-3.06
Tb1 0.5000 0.0000 0.3328 x2  12 Al 3.01-3.05
Al1 0.0000 0.0000 0.5169 x2  6 Al 2.73-2.85, 2 Tb 3.01, 2 Li 3.06
Al2 0.0000 0.2237 0.7409 x4  6 Al 2.73-2.85, 2 Tb 3.01, 2 Li 3.06
Al3 0.5000 0.0000 0.8341 x2  8 Al 2.85-3.07, 2 Li 2.89, 2 Tb 3.05
Al4 0.5000 0.2484 0.0823 x4  8 Al 2.85-3.07, 2 Li 2.89, 2 Tb 3.05

~~~~~

1.
First-principles (PBE) data for crystalline Ce2AgSn4Au3 at its relaxed geometry, as listed in Alexandria via LeMat-Bulk.

Calculated values
* density of states at the Fermi level: 17.76 states/eV/f.u.
* space group: P-4m2
* energy: -4.504 eV/atom
* DFT formation energy: -0.45 eV per atom
********
## Back to the entry

    So I have tried oral finasteride many times in many variations and dosages. 1.25mg, 1mg, 0.5mg, 0.25mg, 0.25mg EOD. I always got the same sexual side effects which are: libido significantly reduced but that in itself is not the great issue, the biggest issue is the severe erectile dysfunction. not as in...
  2. M

    Proposed explanation of lasting dysfunctions from finasteride or dutasteride

    This explanation proposes that dysfunctions arise from microvascular breakdown and inflammation leading to tissue damage in one or more systems: A proposed explanation of lasting dysfunctions after use of finasteride or dutasteride
  3. B

    Help: Erectile Dysfunction 1 Month Into Finasteride

    I am 28 years old and I first noticed changes to the sensation on my penis within the first few days of starting 1mg Finasteride (I posted about it on this forum). Now, almost 1 month into therapy, I have been experiencing pretty drastic erectile dysfunction since that time (~3 weeks) that has...
  4. Drextez

    5 Weeks On Minoxidil , But Losing Sex Drive/desire/weak Erections/0% Morning Wood.

    I've been using kirkland minoxidil 5% foam only 1 application a day ( before bed) with good results, i have diffused thinning and im 20 years old. But i think i lost ALOT of sex drive and desire to have sex, even thoughts about women ( also 0% morning erections/ morning wood) but i dont even...
  5. J

    17m Minoxidil Sexual Sides? Worried Af

    this might be stupid as everyone says minoxidil doesnt have sexual sides, but some of you may have some good advices, and sorry for my bad english. (when i started minoxidil i wasnt worried at all and i didnt even know some hair drugs might give u sides) im 17 turning 18 in a week, i started...
  6. I

    Managing The Sides Of finasteride: Weakness, Cramps, Mental Fog, Dose Every Other Day

    44yo. Hair loss on vertex. Sharing insight: Been taking 1.25 mg finasteride for 1 year and it has helped stop the shedding and grew some. The only sides I get is weakness, muscle cramps, and mental fog. Some low libido. I try to balance sexual sides with supplements: Macca and Tonkat Ali plus Ginseng...
  7. A

    Propecia - Side Effects or No?

    Hey all, Before I begin, I want to ask that anyone who has used Propecia without any problems please speak up. If you had problems, speak up too, but those who have not had problems especially speak up. I started reading up on finasteride and there have been a lot of outspoken people who have a...